Assignment:
Echo the part of the entries underneath that starts with the line with "-2.18" and stops after the one with "0.65 -5.38".
Source:
____________
[1]
DFT (the ωB97M-V functional and the def2-TZVPD basis) results for a molecular structure, C38H41ClNO9S2SiV in a non-equilibrium geometry.

The calculation puts the frontier orbital gap (spin up / spin down) at 0.2752 / 0.2624 Ha. For the energy above the lowest of the compared OMol25 structures with the same formula, charge and spin, the calculation gives 120.9 kcal per mole. As for the expectation value of S²: 0.790. As for the lowest unoccupied orbital energy (spin up / spin down): -3.3 / -3.5 eV.

Geometry as ORCA input:
```
! wB97M-V def2-TZVPD RIJCOSX def2/J DEFGRID3
* xyz 1 2
V 1.11 0.84 0.75
O 0.68 4.72 2.43
Cl 1.45 3.53 2.43
O 1.83 3.11 3.73
O 0.52 2.44 1.85
O 2.57 3.59 1.54
O -0.54 1.17 -0.17
S -1.26 2.52 -0.45
C -1.67 2.40 -2.18
C -2.32 1.09 -2.61
C -1.55 0.44 -3.76
C -0.20 -0.14 -3.35
S -0.23 -1.68 -2.40
O -1.15 -1.48 -1.24
C -1.12 -2.71 -3.57
C -0.52 -3.12 -4.76
C -1.23 -3.93 -5.62
C -2.52 -4.35 -5.29
C -3.09 -3.95 -4.10
C -2.39 -3.13 -3.22
C -2.84 2.22 0.31
C -3.69 3.31 0.46
C -4.92 3.11 1.06
C -5.29 1.85 1.49
C -4.43 0.77 1.33
C -3.19 0.95 0.73
H -0.73 2.61 -2.69
H -2.31 3.28 -2.33
H -3.35 1.29 -2.92
H -2.37 0.40 -1.77
H -1.37 1.18 -4.55
H -2.17 -0.34 -4.22
H 0.37 0.55 -2.72
H 0.41 -0.37 -4.23
H 0.49 -2.81 -5.01
H -0.78 -4.25 -6.55
H -3.07 -4.99 -5.97
H -4.09 -4.29 -3.84
H -2.81 -2.82 -2.27
H -3.39 4.30 0.15
H -5.60 3.95 1.19
H -6.25 1.70 1.97
H -4.72 -0.21 1.67
H -2.52 0.12 0.58
C 4.74 0.66 2.94
C 3.82 0.36 1.80
O 2.64 0.74 1.92
C 4.25 -0.34 0.61
C 5.57 -0.80 0.48
C 5.97 -1.47 -0.66
C 5.05 -1.70 -1.68
C 3.75 -1.26 -1.59
C 3.34 -0.58 -0.44
O 2.07 -0.16 -0.38
H 4.21 1.23 3.69
H 5.60 1.24 2.59
H 5.13 -0.27 3.37
H 6.28 -0.62 1.27
H 6.99 -1.83 -0.75
H 5.37 -2.24 -2.57
H 3.02 -1.45 -2.37
C -0.61 0.14 6.45
C -1.17 0.80 5.37
C -0.81 0.43 4.08
C 0.09 -0.60 3.85
C 0.64 -1.26 4.96
C 0.29 -0.89 6.25
Si 0.57 -1.18 2.15
C -0.63 -2.39 1.41
C -2.00 -2.32 1.67
C -2.88 -3.22 1.08
C -2.39 -4.20 0.23
C -1.03 -4.29 -0.03
C -0.16 -3.39 0.56
H -0.89 0.43 7.46
H -1.87 1.61 5.52
H -1.25 0.97 3.24
H 1.35 -2.07 4.81
H 0.72 -1.41 7.09
H 1.92 -1.81 2.17
H -2.38 -1.58 2.36
H -3.93 -3.17 1.30
H -3.07 -4.91 -0.22
H -0.65 -5.07 -0.68
H 0.90 -3.47 0.34
C 1.71 5.09 -1.02
C 2.22 3.71 -1.33
N 3.53 3.61 -1.63
O 1.47 2.72 -1.36
H 1.45 5.59 -1.95
H 2.44 5.69 -0.49
H 0.81 5.00 -0.40
H 4.15 4.38 -1.49
H 3.91 2.70 -1.83
*
```


[2]
DFT (the ωB97M-V functional and the def2-TZVPD basis) results for 12 unconnected molecules or ions with the total composition C22H54Br8N6O14 in a non-equilibrium geometry.

The calculation puts the frontier orbital gap (spin up / spin down) at 0.0805 / 0.2152 Ha. As for the expectation value of S²: 0.753. As for the lowest unoccupied orbital energy (spin up / spin down): 0.9 / 0.9 eV.

Geometry as ORCA input:
```
! wB97M-V def2-TZVPD RIJCOSX def2/J DEFGRID3
* xyz -1 2
C 2.62 -4.36 -0.40
N 1.34 -4.49 0.22
O 0.94 -3.77 1.16
O 0.65 -5.38 -0.24
H 3.36 -4.42 0.39
H 2.63 -3.39 -0.90
H 2.70 -5.19 -1.11
C 0.62 -1.81 4.35
N 1.34 -1.97 5.62
O 0.76 -1.53 6.58
O 2.42 -2.50 5.69
H -0.36 -1.33 4.46
H 0.58 -2.87 4.09
H 1.21 -1.29 3.60
C -5.91 5.05 -0.87
N -4.68 4.39 -1.41
O -3.94 5.12 -2.11
O -4.50 3.19 -1.16
H -5.89 5.13 0.22
H -6.79 4.53 -1.23
H -5.95 6.05 -1.32
C -1.91 -2.30 -0.14
N -3.22 -2.59 -0.82
O -4.20 -2.17 -0.24
O -3.23 -3.20 -1.89
H -2.06 -1.66 0.73
H -1.35 -1.72 -0.87
H -1.39 -3.24 0.02
C -1.81 4.46 -4.75
N -2.16 4.59 -6.22
O -2.92 5.46 -6.54
O -1.56 3.89 -7.03
H -0.94 3.85 -4.51
H -2.66 4.10 -4.17
H -1.58 5.43 -4.30
C -5.56 0.22 -2.19
N -6.65 0.05 -1.20
O -7.47 -0.81 -1.49
O -6.62 0.77 -0.21
H -5.62 1.27 -2.48
H -5.75 -0.54 -2.95
H -4.62 0.01 -1.70
Br 3.81 0.27 -2.81
C 2.73 -0.54 -4.24
C 1.24 -0.22 -4.06
Br 0.14 -0.71 -5.60
H 2.90 -1.62 -4.30
H 3.09 -0.13 -5.18
H 1.20 0.87 -4.00
H 0.88 -0.68 -3.14
Br 4.00 -2.58 2.37
C 3.49 -4.22 3.46
C 4.25 -5.46 3.05
Br 3.37 -6.93 4.04
H 2.41 -4.36 3.46
H 3.70 -4.03 4.51
H 5.29 -5.49 3.36
H 4.04 -5.69 2.00
Br 3.23 0.82 3.06
C 4.50 1.34 1.61
C 4.50 2.85 1.23
Br 5.84 2.91 -0.18
____________
Solution:
C -1.67 2.40 -2.18
C -2.32 1.09 -2.61
C -1.55 0.44 -3.76
C -0.20 -0.14 -3.35
S -0.23 -1.68 -2.40
O -1.15 -1.48 -1.24
C -1.12 -2.71 -3.57
C -0.52 -3.12 -4.76
C -1.23 -3.93 -5.62
C -2.52 -4.35 -5.29
C -3.09 -3.95 -4.10
C -2.39 -3.13 -3.22
C -2.84 2.22 0.31
C -3.69 3.31 0.46
C -4.92 3.11 1.06
C -5.29 1.85 1.49
C -4.43 0.77 1.33
C -3.19 0.95 0.73
H -0.73 2.61 -2.69
H -2.31 3.28 -2.33
H -3.35 1.29 -2.92
H -2.37 0.40 -1.77
H -1.37 1.18 -4.55
H -2.17 -0.34 -4.22
H 0.37 0.55 -2.72
H 0.41 -0.37 -4.23
H 0.49 -2.81 -5.01
H -0.78 -4.25 -6.55
H -3.07 -4.99 -5.97
H -4.09 -4.29 -3.84
H -2.81 -2.82 -2.27
H -3.39 4.30 0.15
H -5.60 3.95 1.19
H -6.25 1.70 1.97
H -4.72 -0.21 1.67
H -2.52 0.12 0.58
C 4.74 0.66 2.94
C 3.82 0.36 1.80
O 2.64 0.74 1.92
C 4.25 -0.34 0.61
C 5.57 -0.80 0.48
C 5.97 -1.47 -0.66
C 5.05 -1.70 -1.68
C 3.75 -1.26 -1.59
C 3.34 -0.58 -0.44
O 2.07 -0.16 -0.38
H 4.21 1.23 3.69
H 5.60 1.24 2.59
H 5.13 -0.27 3.37
H 6.28 -0.62 1.27
H 6.99 -1.83 -0.75
H 5.37 -2.24 -2.57
H 3.02 -1.45 -2.37
C -0.61 0.14 6.45
C -1.17 0.80 5.37
C -0.81 0.43 4.08
C 0.09 -0.60 3.85
C 0.64 -1.26 4.96
C 0.29 -0.89 6.25
Si 0.57 -1.18 2.15
C -0.63 -2.39 1.41
C -2.00 -2.32 1.67
C -2.88 -3.22 1.08
C -2.39 -4.20 0.23
C -1.03 -4.29 -0.03
C -0.16 -3.39 0.56
H -0.89 0.43 7.46
H -1.87 1.61 5.52
H -1.25 0.97 3.24
H 1.35 -2.07 4.81
H 0.72 -1.41 7.09
H 1.92 -1.81 2.17
H -2.38 -1.58 2.36
H -3.93 -3.17 1.30
H -3.07 -4.91 -0.22
H -0.65 -5.07 -0.68
H 0.90 -3.47 0.34
C 1.71 5.09 -1.02
C 2.22 3.71 -1.33
N 3.53 3.61 -1.63
O 1.47 2.72 -1.36
H 1.45 5.59 -1.95
H 2.44 5.69 -0.49
H 0.81 5.00 -0.40
H 4.15 4.38 -1.49
H 3.91 2.70 -1.83
*
```


[2]
DFT (the ωB97M-V functional and the def2-TZVPD basis) results for 12 unconnected molecules or ions with the total composition C22H54Br8N6O14 in a non-equilibrium geometry.

The calculation puts the frontier orbital gap (spin up / spin down) at 0.0805 / 0.2152 Ha. As for the expectation value of S²: 0.753. As for the lowest unoccupied orbital energy (spin up / spin down): 0.9 / 0.9 eV.

Geometry as ORCA input:
```
! wB97M-V def2-TZVPD RIJCOSX def2/J DEFGRID3
* xyz -1 2
C 2.62 -4.36 -0.40
N 1.34 -4.49 0.22
O 0.94 -3.77 1.16
O 0.65 -5.38 -0.24